From Tidy Time to Tidal Time*: Reflections for Winter/Transitions as the Wheel Turns
Wednesday, December 28
During this time of hibernation, the Northern Hemisphere is dark and still. Our bodies and breathing slow down. We rest and rejuvenate as we wait for the returning of the light.
Let’s turn to our heart-center (not only our minds). As we plod through patriarchal tidy time to the “new year,” let’s consider what it means to be in Tidal Time of Old Lesbian interconnections. What transitions have we experienced this year as we turn towards the light of the next season. What inspires us? What feeds our spirits and our hearts with the courage to continue in our aging?
This Zoom will feature music, readings of poetry or stories, and other surprises.
Curated by Mev Miller (1955) with many OLOC Affiliates participating.
(*inspired by Mary Daly)
Download the Final Event Readings

End White Dominance — Interconnectedness of Dominance Part 2
Friday, December 23
In part one of Interconnectedness of Dominance, utilizing characters and their inherent identities, we spoke about how cultural hierarchy exerts a structure of power in today’s Amerika. Using this intersectionality of identities, part two will focus on the interconnectedness of these identities in peer groups that exert power and control.

The Unfinished Revolution with Merril Mushroom
Wednesday, December 7
“The Unfinished Revolution” continues the discussion begun in OLOC’s post-election open house last month. Discussions in breakout rooms led us to focus on a primary issue for Old Lesbians: healthcare, an area in which we (and all seniors) experience particular injustice.
We know that among so-called advanced nations, the U.S. has one of the most expensive and dysfunctional medical systems. What would a health care revolution look like?
In breakout rooms, we’ll discuss needs, share strategies, and propose approaches to achieve possible solutions in these areas:
- Political action and advocacy
- Confronting the medical/pharmaceutical profiteers that strangle our health system
- Working with community services such as senior centers, state organizations, and other resources
- Holistic health and alternatives to traditional/Western medicine
- Death and dying
Feel free to think about these issues ahead of time and bring notes if you like. Coming together as a community, we can share our collective wisdom.
The healthcare revolution begins with us.
Facilitated by Connie Barrett (1945), Merril Mushroom (1941), and Rose Norman (1949).

End White Dominance — More on Thanksgiving…
Friday, November 25
Honoring Indigenous culture and acknowledging the Indigenous Peoples existence. Their ancestors resisted and survived the horrors of colonization. To honor a people empowers them, restores their identity, and tells the authentic story of Native America.

Post Election Open House
Monday, November 14
Results of the Nov 8, 2022, midterm elections will either help bring about more positive change or start a rapid undoing of what has been achieved so far. This Open House will bring up issues raised by election results and provide opportunities for discussing these issues in breakout rooms.
General topics include health care, education, legal issues, and voting, as well as other topics you may want to raise in breakout rooms*.
Before we break into small groups, you are invited to give a two-minute description of an issue in your state that concerns or encourages you. We will have time to read about 10 of these, so we will use a “first come, first served” process. You will also have an opportunity to raise your topic in a breakout room.
Facilitated by Connie Barrett (1945), Merril Mushroom (1941), and Rose Norman(1949).

# Next to the page, the page also holds crystal structures
~~~
# Y2Ge3 (PBE, relaxed)
data_Y2Ge3
_chemical_formula_sum 'Y4 Ge6'
_cell_length_a 7.3004
_cell_length_b 7.3004
_cell_length_c 4.1795
_cell_angle_alpha 90.00
_cell_angle_beta 90.00
_cell_angle_gamma 90.00
_symmetry_space_group_name_H-M 'P 4/m b m'
_symmetry_Int_Tables_number 127
_symmetry_space_group_name_Hall '-P 4 2ab'
loop_
_atom_site_label
_atom_site_fract_x
_atom_site_fract_y
_atom_site_fract_z
_atom_site_occupancy
Y1 0.1795 0.3205 0.0000 1
Ge1 0.0000 0.0000 0.5000 1
Ge2 0.1230 0.6230 0.5000 1
# * energy of formation from the pure elements: -0.7031 eV per atom
# * M_tot: 0.000 μB/f.u.
# * VASP energy: -30.30 eV per formula unit
# * energy relative to the lowest polymorph listed for this composition: 51 meV per atom

----------

A:
Compound: In3SiAg
Source: Alexandria
Functional: PBE-GGA
Structure: relaxed

Structure (POSCAR):
```
In3SiAg
1.0
5.2296 0.0000 0.0000
0.0000 5.2296 0.0000
0.0000 0.0000 5.2296
In Si Ag
3 1 1
direct
0.0000 0.0000 0.5000
0.0000 0.5000 0.0000
0.5000 0.0000 0.0000
0.0000 0.0000 0.0000
0.5000 0.5000 0.5000
```

* magnetic moment: 0.00 μB/atom
* crystal system: cubic
* space-group type: Pm-3m
* V: 28.61 Å³/atom


B:
Compound: In3SiAg
Source: Alexandria
Functional: PBE-GGA
Structure: relaxed

Structure (POSCAR):
```
In3SiAg
1.0
5.2869 0.0000 0.0000
0.0000 5.2869 0.0000
0.0000 0.0000 5.2869
In Si Ag
3 1 1
direct
0.0000 0.0000 0.5000
0.0000 0.5000 0.0000
0.5000 0.0000 0.0000
0.5000 0.5000 0.5000
0.0000 0.0000 0.0000
```

* magnetic moment: 0.00 μB/atom
* crystal system: cubic
* space-group type: Pm-3m
* V: 29.55 Å³/atom


Which structure wins on stability? A wins.


A:
Compound: In2SiAg2
Source: Alexandria
Functional: PBE-GGA
Structure: relaxed

Structure (POSCAR):
```
In2SiAg2
1.0
8.3194 0.0000 0.0000
0.0000 8.3194 0.0000
0.0000 0.0000 3.1038
In Si Ag
4 2 4
direct
0.1785 0.3215 0.0000
0.3215 0.8215 0.0000
0.6785 0.1785 0.0000
0.8215 0.6785 0.0000
0.0000 0.0000 0.0000
0.5000 0.5000 0.0000
0.1203 0.6203 0.5000
0.3797 0.1203 0.5000
0.6203 0.8797 0.5000
0.8797 0.3797 0.5000
```

* magnetic moment: 0.00 μB/atom
* crystal system: tetragonal
* space-group type: P4/mbm
* V: 21.48 Å³/atom


B:
Compound: In2SiAg2
Source: Alexandria
Functional: PBE-GGA
Structure: relaxed

Structure (POSCAR):
```
In2SiAg2
1.0
6.9671 0.0000 0.0000
0.0000 6.9671 0.0000
0.0000 0.0000 4.4675
In Si Ag
4 2 4
direct
0.1651 0.3349 0.0000
0.3349 0.8349 0.0000
0.6651 0.1651 0.0000
0.8349 0.6651 0.0000
0.0000 0.0000 0.5000
0.5000 0.5000 0.5000
0.1462 0.6462 0.5000
0.3538 0.1462 0.5000
0.6462 0.8538 0.5000
0.8538 0.3538 0.5000
```

* magnetic moment: 0.00 μB/atom
* crystal system: tetragonal
* space-group type: P4/mbm
* V: 21.69 Å³/atom


Which structure wins on stability? B wins.


A:
Compound: Sm8InAg2
Source: Alexandria
Functional: PBE-GGA
Structure: relaxed

Structure (POSCAR):
```
Sm8InAg2
1.0
8.2514 -2.6777 0.0000
8.2514 2.6777 0.0000
-4.2116 0.0000 7.4137
Sm In Ag
8 1 2
direct
0.0674 0.0674 0.2252
0.1432 0.1432 0.7016
0.3151 0.3151 0.5385
~~~

OLOC International Gathering via Zoom
The Focus IS Lesbian: Body, Mind, and Spirit
October Thursday, 27-Saturday, 29, 2022
CLICK HERE for more details
A recap of the 2022 International Gathering coming soon. Please check back.

End White Dominance—Topic: Racism and Middle Eastern Communities
Friday, September 23; open to all OLOC affiliates and supporters.
The horrific post-9/11 backlash devasted Arab and Muslin American life which ramped up government attacks on people perceived to be Muslim and therefore “terrorists”. This racism has many roots since the 7th century with contemporary racism growing out of the post-Cold War period when the U.S. began launching its imperialist wars in the Arab region.
This event is for Old Lesbians Attending the Gathering
How To Create an Attendee-Led Discussion at the 2022 Gathering
Monday, September 19
This training event will guide you through the process of how to sign-up to lead an Attendee-Led Talk Session at the October Gathering.
Training Provided via Zoom.

End White Dominance—Topic: Missing and Murdered Indigenous Women and Girls
Friday, August 26
Native American women are murdered and sexually assaulted at rates as high as ten times the average in certain counties in the United States. These crimes are overwhelmingly committed by individuals outside the Native American community.

Film & Discussion: 24th Michigan Womyn’s Music Festival [1999]
Wednesday, August 17
This award-wining film provides a brief documentary on one of our most beloved Lesbian Events – the Michigan Womyn’s Music Festival. The event was built, staffed, run, and attended exclusively by women, with girls, boys and toddlers permitted.
Film presentation was followed by discussion with the filmmaker.
Presenter: Natalie Williams was trained in Filmography, Television & Video production at Manhattan Neighborhood Network & DykeTV in New York City.
End White Dominance—Topic: Poverty and Racism
Friday, July 22
The session covered the issues of racism and how they purposely created poverty.

Terry Baum One Dyke’s Theater—Online Book Party!
Wednesday, June 22
An anthology of 40 years of groundbreaking plays by slightly-world-renowned Lesbian playwright Terry Baum.
In celebration of Pride 2022, Terry and Carolyn Myers, her longtime theatrical partner and editor of One Dyke’s Theater, performed excerpts from plays in the anthology. These included their first play, Dos Lesbos, and Terry’s recent award-winning show, HICK: A Love Story (The Romance of Lorena Hickok and Eleanor Roosevelt).Between the scenes, Terry and Carolyn shared backstage stories of many of Terry’s plays, written and produced while living as a Lesbian through the passions, struggles, and wild good times of the Women’s Movement.
Presenters: Terry Baum, 1946, and Carolyn Myers, 1950

What Am I Forgetting? Experiences with Alzheimer’s and Memory Loss
Thursday, May 26
Have you had that experience of going from one room to the other and not remembering why you went there? You wonder: are you just forgetting? Or is there something really wrong? These are questions—even fears—faced by many Old Lesbians. Whether you are caring for a loved one with dementia or Alzheimer’s, or concerned about caring for yourself, join us for this panel on personal experiences and reflections.
Lisa Albrecht, 1951, currently lives in a senior cooperative. She has vascular dementia and experiences memory loss. Her partner currently lives with Alzheimer’s in memory care. Lisa talked about her experiences and coping strategies.
Elda Dawber, 1944, lives with her wife, Mariellen Langworthy, who has been diagnosed with Alzheimer’s. They have participated in some studies and experimental trials hoping to hold off Mariellen’s decline. Together, Elda and Mariellen shared their experiences.
Char Brown is a Research Assistant with Aging with PRIDE: IDEA (Innovations in Dementia Empowerment and Action), the first federally funded program designed to help those experiencing memory loss and their caregivers in the LGBTQ community. She shared some of their insights and suggestions for coping with Alzheimer’s and Dementia.
Facilitated by Mev Miller, 1955, and Janet Holstine, 1949
Click here to download chat notes.

Misplaced data records:
........
A plane-wave DFT calculation with PBE was carried out for Ca2AgPt2 after structural relaxation.

Cell lengths 5.533, 5.533, 8.045 Å; angles 90.00, 90.00, 90.00 degrees
Space group I4/mmm (No. 139)
Inequivalent atoms, fractional coordinates:
Ca: 0.000 0.500 0.250 (multiplicity 4)
Ag: 0.000 0.000 0.000 (multiplicity 2)
Pt: 0.000 0.000 0.340 (multiplicity 4)

Calculated values
Calculated density ... 7.80 g/cm³
Raw total energy ... -4.3185 eV/atom
DOS(E_F) ... 1.6 states/eV/f.u.
........

You DO Have the Last Word: Writing Your Own Obituary
Tuesday, March 29
Your obituary is a mini-memoir of who you were and how you lived your life. This mini-workshop took the elements of memoir writing to help guide you with writing your own memoir rather than leaving it to someone else. It’s YOUR life; you should have the last word!
Author Dr. Ronni Sanlo, 1947, led this fun workshop on writing your life.
End White Dominance —Topic: Women of Color Suffragists: Racism and the Right to Vote
Friday, March 25

Participants learned about the lives of Women of Color Suffragists. There is a history of suffrage that does not start with white women and one that really deals with the racism of the suffrage movement. African Americans, Native Americans, Latinas, and Asians were denied the democratic process and excluded from the movement, so they organized in their communities and nationally for the right to vote.
Event was recorded and will be placed on this site.
“I am a free-born citizen of America and by the 14th amendment of the US Constitution I shall not be denied the right to vote because of race, color, or sex, and I will not move until I have been registered.” —Indiana Tuggle Little
Panel: Learn Our History and Repeat It!
Tuesday, March 8 – Celebrate International Women’s Day

In early 1971, independent women’s groups—including many Lesbians—in both New York City and Cambridge, Massachusetts, took over and occupied buildings to create women’s centers. These actions raise many questions about feminism, organizing, and social movements which are still critical for us today.
On March 8, International Women’s Day, OLOC hosted a panel presentation with women who were involved in each action. Links to the documentary about the Cambridge action called Left on Pearl and a shorter film about the 5th Street takeover were provided prior to the panel discussion.
Panelists: Susan Sherman, 1939; Rochelle Ruthchild, 1940; Susan Jacoby, 1948; and Reeni Goldin, 1948. Moderated by Zinetta Hope, 1998.

Women of the Harlem Renaissance: A Multimedia Presentation
Thursday, February 24
After World War I, Black people flocked to New York City from the American South and the Caribbean Islands. Many settled in Harlem, and from 1918 to the mid-1930s, they created a cultural, artistic, and intellectual revolution that influenced other artists around the world. At the time, it was called The New Negro Movement, and many brilliant women were a part of it. Who were they, and what did they do? In this presentation, we’ll talk about the experiences and unique talents of a number of these women—many of them Lesbian or bisexual, all of them groundbreaking. Join us for a glimpse into this historic, dynamic era and into the lives of the amazing Black women who shaped it.
Presented by Jorjet Harper, 1947.
Download the Zoom Report